-- Entries --
********
Record 1
Theoretical XRD peak list
Compound: Al2S3O12
Radiation: CuKα
Structure: a GGA-PBE-relaxed structure
No peak broadening, texture or thermal motion is included.

Top 12 peaks for 15 to 90 degrees two-theta, sorted by position:
- (1 0 4), 20.69°, d = 4.293 Å, I 15
- (0 0 6), 24.68°, d = 3.608 Å, I 13
- (2 -1 3), 25.12°, d = 3.545 Å, I 100
- (0 2 4), 30.26°, d = 2.954 Å, I 20
- (1 1 6), 33.18°, d = 2.700 Å, I 18
- (3 -1 1), 33.89°, d = 2.645 Å, I 12
- (3 0 3), 40.36°, d = 2.235 Å, I 5
- (1 1 9), 43.72°, d = 2.071 Å, I 7
- (2 2 6), 51.56°, d = 1.773 Å, I 6
- (2 1 10), 54.62°, d = 1.680 Å, I 6
- (4 -3 7), 55.61°, d = 1.653 Å, I 5
- (4 -3 10), 64.18°, d = 1.451 Å, I 5

a = 8.1413 Å, b = 8.1413 Å, c = 21.6470 Å
α = 90.00°, β = 90.00°, γ = 120.00°
Space group R-3 (No. 148, hexagonal axes)
One atom of each set of equivalent atoms:
1 Al 0.0000 0.0000 0.1442 x6
2 Al 0.0000 0.0000 0.3517 x6
3 S 0.0017 0.2888 0.7496 x18
4 O 0.0158 0.1916 0.0909 x18
5 O 0.0169 0.8157 0.1927 x18
6 O 0.0680 0.2147 0.4025 x18
7 O 0.0691 0.2170 0.6982 x18

=====

Record 2
Theoretical XRD peak list
Compound: Sm10Dy4Y
Radiation: CuKα
Structure: a GGA-PBE-relaxed structure
No peak broadening, texture or thermal motion is included.

Top 12 peaks for 15 to 90 degrees two-theta, sorted by position:
- (1 2 1), 19.79°, d = 4.486 Å, I 25
- (3 1 0), 22.89°, d = 3.885 Å, I 15
- (3 1 2), 32.60°, d = 2.747 Å, I 100
- (5 0 1), 38.43°, d = 2.343 Å, I 14
- (2 4 2), 40.21°, d = 2.243 Å, I 4
- (6 2 0), 46.73°, d = 1.944 Å, I 12
- (0 0 4), 46.84°, d = 1.940 Å, I 6
- (5 0 3), 51.25°, d = 1.783 Å, I 6
- (5 5 2), 58.17°, d = 1.586 Å, I 38
- (6 2 4), 68.29°, d = 1.374 Å, I 12
- (10 0 0), 77.68°, d = 1.229 Å, I 11
- (3 1 6), 77.85°, d = 1.227 Å, I 5

a = 12.294 Å, b = 12.294 Å, c = 7.758 Å
α = 90.00°, β = 90.00°, γ = 90.00°
Space group I4/m (No. 87)
One atom of each set of equivalent atoms:
1 Sm 0.000 0.500 0.250 x4
2 Sm 0.100 0.201 0.249 x16
3 Dy 0.100 0.700 0.000 x8
4 Y 0.000 0.000 0.500 x2

=====

Record 3
Theoretical XRD peak list
Compound: Pm2Ag3Au
Radiation: CuKα
Structure: a GGA-PBE-relaxed structure
No peak broadening, texture or thermal motion is included.

Top 12 peaks for 15 to 90 degrees two-theta, sorted by position:
- (1 1 1), 33.06°, d = 2.710 Å, I 100
- (1 0 2), 33.24°, d = 2.695 Å, I 51
- (0 2 0), 37.32°, d = 2.409 Å, I 39
- (0 1 3), 37.83°, d = 2.378 Å, I 74
- (1 2 2), 50.83°, d = 1.796 Å, I 30
- (2 0 0), 51.10°, d = 1.787 Å, I 16
- (1 0 4), 51.36°, d = 1.779 Å, I 13
- (1 3 1), 64.62°, d = 1.442 Å, I 14
- (2 2 0), 64.96°, d = 1.436 Å, I 15
- (2 1 3), 65.30°, d = 1.429 Å, I 29
- (1 1 5), 65.53°, d = 1.425 Å, I 14
- (0 3 3), 67.64°, d = 1.385 Å, I 13

a = 3.575 Å, b = 4.819 Å, c = 8.204 Å
α = 90.00°, β = 90.00°, γ = 90.00°
Space group Pmm2 (No. 25)
One atom of each set of equivalent atoms:
1 Pm 0.000 0.000 0.000 x1
2 Pm 0.000 0.500 0.479 x1
3 Ag 0.500 0.000 0.660 x1
4 Ag 0.500 0.500 0.152 x1
5 Ag 0.500 0.500 0.819 x1
6 Au 0.500 0.000 0.322 x1

=====

Record 4
Theoretical XRD peak list
Compound: Pr2ThTe2As2
Radiation: CuKα
Structure: a GGA-PBE-relaxed structure
No peak broadening, texture or thermal motion is included.

Top 12 peaks for 15 to 90 degrees two-theta, sorted by position:
- (1 1 0), 22.64°, d = 3.928 Å, I 85
- (1 0 3), 23.18°, d = 3.837 Å, I 11
- (2 0 0), 32.23°, d = 2.777 Å, I 81
- (1 0 5), 32.41°, d = 2.763 Å, I 100
- (2 2 0), 46.23°, d = 1.964 Å, I 30
- (2 1 5), 46.36°, d = 1.959 Å, I 74
- (2 0 6), 47.38°, d = 1.919 Å, I 11
- (3 1 0), 52.06°, d = 1.757 Å, I 18
- (3 0 5), 57.58°, d = 1.601 Å, I 20
- (3 2 5), 67.54°, d = 1.387 Å, I 24
- (2 0 10), 67.85°, d = 1.381 Å, I 14
- (4 2 0), 76.78°, d = 1.241 Å, I 30

a = 5.555 Å, b = 5.555 Å, c = 15.922 Å
α = 90.00°, β = 90.00°, γ = 90.00°
Space group I4/mmm (No. 139)
One atom of each set of equivalent atoms:
1 Pr 0.000 0.000 0.114 x4
2 Th 0.000 0.000 0.500 x2
3 Te 0.000 0.000 0.307 x4
4 As 0.000 0.500 0.000 x4

=====

Record 5
Theoretical XRD peak list
Compound: Ac6Hg2Ru
Radiation: CuKα
********

-- Activity --
Find the line further up that holds "10), 64.18°,", then give back that line and all lines after it there.

-- Worked solution --
- (4 -3 10), 64.18°, d = 1.451 Å, I 5

a = 8.1413 Å, b = 8.1413 Å, c = 21.6470 Å
α = 90.00°, β = 90.00°, γ = 120.00°
Space group R-3 (No. 148, hexagonal axes)
One atom of each set of equivalent atoms:
1 Al 0.0000 0.0000 0.1442 x6
2 Al 0.0000 0.0000 0.3517 x6
3 S 0.0017 0.2888 0.7496 x18
4 O 0.0158 0.1916 0.0909 x18
5 O 0.0169 0.8157 0.1927 x18
6 O 0.0680 0.2147 0.4025 x18
7 O 0.0691 0.2170 0.6982 x18

=====

Record 2
Theoretical XRD peak list
Compound: Sm10Dy4Y
Radiation: CuKα
Structure: a GGA-PBE-relaxed structure
No peak broadening, texture or thermal motion is included.

Top 12 peaks for 15 to 90 degrees two-theta, sorted by position:
- (1 2 1), 19.79°, d = 4.486 Å, I 25
- (3 1 0), 22.89°, d = 3.885 Å, I 15
- (3 1 2), 32.60°, d = 2.747 Å, I 100
- (5 0 1), 38.43°, d = 2.343 Å, I 14
- (2 4 2), 40.21°, d = 2.243 Å, I 4
- (6 2 0), 46.73°, d = 1.944 Å, I 12
- (0 0 4), 46.84°, d = 1.940 Å, I 6
- (5 0 3), 51.25°, d = 1.783 Å, I 6
- (5 5 2), 58.17°, d = 1.586 Å, I 38
- (6 2 4), 68.29°, d = 1.374 Å, I 12
- (10 0 0), 77.68°, d = 1.229 Å, I 11
- (3 1 6), 77.85°, d = 1.227 Å, I 5

a = 12.294 Å, b = 12.294 Å, c = 7.758 Å
α = 90.00°, β = 90.00°, γ = 90.00°
Space group I4/m (No. 87)
One atom of each set of equivalent atoms:
1 Sm 0.000 0.500 0.250 x4
2 Sm 0.100 0.201 0.249 x16
3 Dy 0.100 0.700 0.000 x8
4 Y 0.000 0.000 0.500 x2

=====

Record 3
Theoretical XRD peak list
Compound: Pm2Ag3Au
Radiation: CuKα
Structure: a GGA-PBE-relaxed structure
No peak broadening, texture or thermal motion is included.

Top 12 peaks for 15 to 90 degrees two-theta, sorted by position:
- (1 1 1), 33.06°, d = 2.710 Å, I 100
- (1 0 2), 33.24°, d = 2.695 Å, I 51
- (0 2 0), 37.32°, d = 2.409 Å, I 39
- (0 1 3), 37.83°, d = 2.378 Å, I 74
- (1 2 2), 50.83°, d = 1.796 Å, I 30
- (2 0 0), 51.10°, d = 1.787 Å, I 16
- (1 0 4), 51.36°, d = 1.779 Å, I 13
- (1 3 1), 64.62°, d = 1.442 Å, I 14
- (2 2 0), 64.96°, d = 1.436 Å, I 15
- (2 1 3), 65.30°, d = 1.429 Å, I 29
- (1 1 5), 65.53°, d = 1.425 Å, I 14
- (0 3 3), 67.64°, d = 1.385 Å, I 13

a = 3.575 Å, b = 4.819 Å, c = 8.204 Å
α = 90.00°, β = 90.00°, γ = 90.00°
Space group Pmm2 (No. 25)
One atom of each set of equivalent atoms:
1 Pm 0.000 0.000 0.000 x1
2 Pm 0.000 0.500 0.479 x1
3 Ag 0.500 0.000 0.660 x1
4 Ag 0.500 0.500 0.152 x1
5 Ag 0.500 0.500 0.819 x1
6 Au 0.500 0.000 0.322 x1

=====

Record 4
Theoretical XRD peak list
Compound: Pr2ThTe2As2
Radiation: CuKα
Structure: a GGA-PBE-relaxed structure
No peak broadening, texture or thermal motion is included.

Top 12 peaks for 15 to 90 degrees two-theta, sorted by position:
- (1 1 0), 22.64°, d = 3.928 Å, I 85
- (1 0 3), 23.18°, d = 3.837 Å, I 11
- (2 0 0), 32.23°, d = 2.777 Å, I 81
- (1 0 5), 32.41°, d = 2.763 Å, I 100
- (2 2 0), 46.23°, d = 1.964 Å, I 30
- (2 1 5), 46.36°, d = 1.959 Å, I 74
- (2 0 6), 47.38°, d = 1.919 Å, I 11
- (3 1 0), 52.06°, d = 1.757 Å, I 18
- (3 0 5), 57.58°, d = 1.601 Å, I 20
- (3 2 5), 67.54°, d = 1.387 Å, I 24
- (2 0 10), 67.85°, d = 1.381 Å, I 14
- (4 2 0), 76.78°, d = 1.241 Å, I 30

a = 5.555 Å, b = 5.555 Å, c = 15.922 Å
α = 90.00°, β = 90.00°, γ = 90.00°
Space group I4/mmm (No. 139)
One atom of each set of equivalent atoms:
1 Pr 0.000 0.000 0.114 x4
2 Th 0.000 0.000 0.500 x2
3 Te 0.000 0.000 0.307 x4
4 As 0.000 0.500 0.000 x4

=====

Record 5
Theoretical XRD peak list
Compound: Ac6Hg2Ru
Radiation: CuKα